Why Choose Us?


Smart City--Why Us Overview

Cities need to get smart. Use case hyperautomation is the best way for them to do so. Every use case is designed to be usable by every city, and easy customization makes it simple to adapt them to the exact needs of cities. Normally, digital adoption takes a lot of time.

Adoption of technology on a city-wide a scale needs to be simple and straightforward so new technology can be adopted at large scales. But with the use case approach, every challenge just becomes another ready-to-deploy solution. Most importantly: smart cities need the smartest security to protect citizen data and prevent breaches.


Cities face a wide array of challenges in growing their use of smart technology. Solutions need to be widely applicable, yet also allow for specific customization on a case-by-case basis. Cities also need comprehensive solutions that can engage, communicate, and automate processes throughout their jurisdictions.


Projected annual revenue growth rate of smart cities.


Of the world’s population is predicted to live in urban areas by 2050.


Of US cities are investing in smart city technology, with more exploring opportunities.
National League of Cities


No code needed

No coding or developers required

City staff can easily create or adjust automation workflows to best fit each city. They can easily adjust live automation workflows to achieve the best possible implementations without getting coding or developers involved.


Engagement. SimplyCast is dedicated to helping smart cities engage citizens using automation and digital tools.


Use case hyperautomation

Our use case strategy experts are constantly looking for ways that cities can be even smarter. When we find a solution, we pre-build templates that cities can launch and use in moments. Our strategists take use case suggestions from across the world and build them into use cases. These use cases let smart cities scale automation faster than ever.

**Calculated crystals that have nothing to do with the text**
/*
[1]
A relaxed KBeV crystal, computed with GGA-PBE.

Calculated values
SG ... No. 187
Size of the total moment ... 0.00 Bohr magnetons per cell
ΔE to the lowest computed polymorph ... 809 meV/atom
D(E_F) ... 0.75 states/eV per atom
Formation energy ... 122.9 kJ per mole of atoms
Uncorrected energy ... -3.37 eV per atom

Cell: 4.963 4.963 7.521 Å, 90.00 90.00 120.00°
Atoms (fractional coordinates):
K 0.000 0.000 0.000
K 0.000 0.000 0.500
Be 0.667 0.333 0.143
Be 0.667 0.333 0.857
V 0.333 0.667 0.123
V 0.333 0.667 0.877

=====

[2]
A relaxed KBeV crystal, computed with GGA-PBE.

Calculated values
SG ... No. 2
Size of the total moment ... 0.00 Bohr magnetons per cell
ΔE to the lowest computed polymorph ... 0 meV/atom
D(E_F) ... 0.83 states/eV per atom
Formation energy ... 44.8 kJ per mole of atoms
Uncorrected energy ... -4.18 eV per atom

Cell: 3.874 3.875 11.530 Å, 85.17 85.05 60.18°
Atoms (fractional coordinates):
K 0.222 0.216 0.176
K 0.778 0.784 0.824
Be 0.166 0.166 0.501
Be 0.834 0.834 0.499
V 0.485 0.486 0.587
V 0.515 0.514 0.413

=====

[3]
A relaxed KBe2V crystal, computed with GGA-PBE.

Calculated values
SG ... No. 122
Size of the total moment ... 13.61 Bohr magnetons per cell
ΔE to the lowest computed polymorph ... 17 meV/atom
D(E_F) ... 0.80 states/eV per atom
Formation energy ... 136.5 kJ per mole of atoms
Uncorrected energy ... -3.00 eV per atom

Cell: 7.372 7.372 6.423 Å, 90.00 90.00 90.00°
Atoms (fractional coordinates):
K 0.000 0.000 0.000
K 0.000 0.500 0.250
K 0.500 0.000 0.750
K 0.500 0.500 0.500
Be 0.174 0.250 0.625
Be 0.250 0.674 0.875
Be 0.250 0.826 0.375
Be 0.326 0.250 0.125
Be 0.674 0.750 0.125
Be 0.750 0.174 0.375
Be 0.750 0.326 0.875
Be 0.826 0.750 0.625
V 0.000 0.000 0.500
V 0.000 0.500 0.750
V 0.500 0.000 0.250
V 0.500 0.500 0.000

~~~~~

Record 1
The following is a GGA+U calculation of a relaxed structure of CoSn2WO, from Alexandria.

Cell and atoms, written as POSCAR:
```
CoSn2WO
1.0
-4.309 -3.029 0.846
1.818 -3.358 -2.766
2.379 -2.202 4.237
Co Sn O W
1 2 1 1
Direct
0.000 0.500 0.000 Co
0.000 0.000 0.500 Sn
0.500 0.000 0.000 Sn
0.500 0.500 0.500 O
0.000 0.000 0.000 W
```

Properties
The calculation puts the electronic total energy at -3.625 eV per atom. As for the space group: P4/mmm (123). The value obtained for the density of states at the Fermi level is 0.788 states/eV/atom.

---

Record 2
The following is a GGA+U calculation of a relaxed structure of ZnCoSnO4, from Alexandria.

Cell and atoms, written as POSCAR:
```
ZnCoSnO4
1.0
6.064 0.000 0.000
3.032 5.411 0.040
3.032 1.687 5.141
Co O Zn Sn
2 8 2 2
Direct
0.000 0.000 0.500 Co
0.500 0.000 0.500 Co
0.235 0.783 0.746 O
0.765 0.217 0.254 O
0.764 0.752 0.252 O
0.235 0.246 0.283 O
0.236 0.248 0.748 O
0.768 0.248 0.748 O
0.765 0.754 0.717 O
0.232 0.752 0.252 O
0.359 0.391 0.891 Zn
0.641 0.609 0.109 Zn
0.000 0.500 0.500 Sn
0.000 0.000 0.000 Sn
```

Properties
The calculation puts the electronic total energy at -5.746 eV per atom. As for the space group: Imma (74).

---
*/
**Back to the text**

Emergency Response

Emergency Response. Our platform includes a robust set of emergency applications designed to streamline and optimize emergency response operations.


A comprehensive solution

Our all-in-one platform includes more than 20 hyperautomation tools. These tools include communication tools, emergency management applications, staff recall, contact management, maps, and so much more.


Communication. Leveraging robust communication tools allows smart automation to go further and do more for citizens.


Dedication to data security

We are ISO 27001:2013-certified and have data centers that we maintain in the USA and Canada. They allow for secure, safe communication no matter what industry you're a part of. We also offer an appliance model to ensure Smart Cities can adhere to data sovereignty regulations within their region.


Marketing. SimplyCast was built on foundation of all-in-one marketing that ensures cities can inform citizens and improve their experience.